Say how many lines of the listing further below hold the word "geometry-optimized", as a bare number.

+++
Below is a geometry-optimized VIN2O structure, with properties calculated at the GGA+U level.

Computed properties:
DOS(E_F) ... 1.512 states/eV/cell
Crystal system ... tetragonal
Space-group type ... No. 123
Energy ... -0.2991 Ry/atom

Cell lengths 4.050, 4.050, 4.233 Å; angles 90.00, 90.00, 90.00 degrees
Fractional positions:
N: 0.500 0.000 0.000
V: 0.500 0.500 0.500
N: 0.000 0.500 0.000
I: 0.000 0.000 0.500
O: 0.000 0.000 0.000



Below is a geometry-optimized VIN2O structure, with properties calculated at the GGA+U level.

Computed properties:
DOS(E_F) ... 2.869 states/eV/cell
Crystal system ... tetragonal
Space-group type ... No. 123
Energy ... -0.4027 Ry/atom

Cell lengths 4.084, 4.084, 3.670 Å; angles 90.00, 90.00, 90.00 degrees
Fractional positions:
O: 0.000 0.000 0.500
N: 0.000 0.500 0.000
N: 0.500 0.000 0.000
I: 0.500 0.500 0.500
V: 0.000 0.000 0.000



Below is a geometry-optimized VI2NO structure, with properties calculated at the GGA+U level.

Computed properties:
DOS(E_F) ... 6.600 states/eV/cell
Energy above the lowest structure with this stoichiometry ... 1.209 eV/atom
Crystal system ... tetragonal
Space-group type ... No. 123
Energy ... -0.2262 Ry/atom

Cell lengths 4.968, 4.968, 3.961 Å; angles 90.00, 90.00, 90.00 degrees
Fractional positions:
O: 0.000 0.000 0.000
V: 0.500 0.500 0.500
I: 0.000 0.500 0.000
N: 0.000 0.000 0.500
I: 0.500 0.000 0.000



Below is a geometry-optimized VI2NO structure, with properties calculated at the GGA+U level.

Computed properties:
DOS(E_F) ... 3.168 states/eV/cell
Energy above the lowest structure with this stoichiometry ... 0.911 eV/atom
Crystal system ... tetragonal
Space-group type ... No. 123
Energy ... -0.2481 Ry/atom

Cell lengths 5.062, 5.062, 3.770 Å; angles 90.00, 90.00, 90.00 degrees
Fractional positions:
N: 0.000 0.000 0.000
I: 0.500 0.000 0.000
I: 0.000 0.500 0.000
V: 0.500 0.500 0.500
O: 0.000 0.000 0.500



Below is a geometry-optimized VI2NO structure, with properties calculated at the GGA+U level.

Computed properties:
DOS(E_F) ... 2.006 states/eV/cell
Energy above the lowest structure with this stoichiometry ... 0.000 eV/atom
Crystal system ... tetragonal
Space-group type ... No. 123
Energy ... -0.3151 Ry/atom

Cell lengths 5.760, 5.760, 3.656 Å; angles 90.00, 90.00, 90.00 degrees
Fractional positions:
I: 0.500 0.000 0.000
I: 0.000 0.500 0.000
O: 0.000 0.000 0.500
N: 0.500 0.500 0.500
V: 0.000 0.000 0.000



Below is a geometry-optimized WINO2 structure, with properties calculated at the GGA+U level.

Computed properties:
DOS(E_F) ... 0.144 states/eV/cell
Crystal system ... tetragonal
Space-group type ... No. 123
Energy ... -0.3254 Ry/atom

Cell lengths 3.992, 3.992, 4.633 Å; angles 90.00, 90.00, 90.00 degrees
Fractional positions:
I: 0.000 0.000 0.000
O: 0.000 0.500 0.000
N: 0.000 0.000 0.500
W: 0.500 0.500 0.500
O: 0.500 0.000 0.000



Below is a geometry-optimized WIN2O structure, with properties calculated at the GGA+U level.

Computed properties:
DOS(E_F) ... 2.300 states/eV/cell
Crystal system ... tetragonal
Space-group type ... No. 123
Energy ... -0.2795 Ry/atom

Cell lengths 4.198, 4.198, 4.091 Å; angles 90.00, 90.00, 90.00 degrees
Fractional positions:
O: 0.000 0.000 0.000
N: 0.000 0.500 0.000
I: 0.000 0.000 0.500
N: 0.500 0.000 0.000
W: 0.500 0.500 0.500



Below is a geometry-optimized WIN2O structure, with properties calculated at the GGA+U level.

Computed properties:
DOS(E_F) ... 2.655 states/eV/cell
Crystal system ... tetragonal
Space-group type ... No. 123
Energy ... -0.3806 Ry/atom

Cell lengths 3.839, 3.839, 5.966 Å; angles 90.00, 90.00, 90.00 degrees
Fractional positions:
N: 0.500 0.000 0.000
I: 0.000 0.000 0.500
N: 0.000 0.500 0.000
O: 0.500 0.500 0.500
W: 0.000 0.000 0.000
+++

8